There’s a common scene Chris Whitmore encounters as animal control coordinator for Iowa City.
A family, often from a rural homestead or tiny town, brings in a six-week-old kitten to the shelter for adoption. “Where’s the mother?” Whitmore or her staff will ask.
“We don’t know where she went,” they’ll answer. “Well, would you like to try to live-trap her so she can be spayed?” they’re asked. “No, not really,” is usually their answer.
“And they just keep the cycle going of bringing kittens in to us year after year,” Whitmore says. “We also often have farmers or rural people who will bring in kittens that are eight months old. By that time, they don’t make good pets, no one’s handled them. They’re like feral cats, but not.
“And they won’t ever bring the mother in. It’s just the same cycle over and over again.”
The cycle keeps public and private shelters overflowing with kittens that are often hard or impossible to adopt out because they are so unaccustomed to human contact. The vast majority of feral cats are euthanized after a brief stay in the public shelter.
## Here the text breaks off for records of crystals
=====
A plane-wave DFT calculation with SCAN was carried out for Cs2KLaF6 at its PBEsol-relaxed geometry.

```
Cs2KLaF6
1.0
-2.103 0.870 6.427
0.856 -4.985 4.571
4.565 0.718 5.013
F La K Cs
6 1 1 2
Direct
0.238 0.762 0.238
0.762 0.238 0.238
0.238 0.238 0.762
0.762 0.238 0.762
0.762 0.762 0.238
0.238 0.762 0.762
0.000 0.000 0.000
0.500 0.500 0.500
0.250 0.250 0.250
0.750 0.750 0.750
```

Its space group is Fm-3m (225). The formation energy (no corrections) comes out at -3.497 eV/atom. The value obtained for the total energy is -18.327 eV per atom.

=====

A plane-wave DFT calculation with SCAN was carried out for Cs2KMnF6 at its PBEsol-relaxed geometry.

```
Cs2KMnF6
1.0
6.245 0.000 0.000
-3.123 5.602 -0.016
0.000 3.496 5.175
F Cs Mn K
6 2 1 1
Direct
0.789 0.000 0.789
0.211 0.000 0.789
0.773 0.546 0.227
0.227 0.454 0.773
0.211 0.000 0.211
0.789 0.000 0.211
0.750 0.500 0.750
0.250 0.500 0.250
0.000 0.000 0.000
0.500 0.000 0.500
```

Its space group is I4/mmm (139). The formation energy (no corrections) comes out at -3.025 eV/atom. The value obtained for the total energy is -15.370 eV per atom.

=====

A plane-wave DFT calculation with SCAN was carried out for Cs2KMoF6 at its PBEsol-relaxed geometry.

```
Cs2KMoF6
1.0
-0.090 1.138 6.359
0.460 -4.915 4.168
5.376 -0.777 3.497
Cs F Mo K
2 6 1 1
Direct
0.750 0.750 0.750
0.250 0.250 0.250
0.776 0.224 0.776
0.776 0.224 0.224
0.224 0.776 0.776
0.224 0.224 0.776
0.776 0.776 0.224
0.224 0.776 0.224
0.000 0.000 0.000
0.500 0.500 0.500
```

Its space group is Fm-3m (225). The formation energy (no corrections) comes out at -2.908 eV/atom. The value obtained for the total energy is -16.915 eV per atom.

=====

A plane-wave DFT calculation with SCAN was carried out for Cs2KNF6 at its PBEsol-relaxed geometry.

```
Cs2KNF6
1.0
-1.374 3.747 -4.731
2.616 -0.917 -5.534
-3.405 -2.100 -4.723
F Cs K N
6 2 1 1
Direct
0.208 0.792 0.208
0.792 0.208 0.208
0.208 0.792 0.792
0.208 0.208 0.792
0.792 0.792 0.208
0.792 0.208 0.792
0.750 0.750 0.750
0.250 0.250 0.250
0.500 0.500 0.500
0.000 0.000 0.000
```

Its space group is Fm-3m (225). The formation energy (no corrections) comes out at -1.704 eV/atom. The value obtained for the total energy is -13.152 eV per atom.

=====

A plane-wave DFT calculation with SCAN was carried out for Cs2KZrOF5 at its PBEsol-relaxed geometry.

```
Cs2KZrOF5
1.0
-5.123 -0.045 -4.023
-0.625 -2.299 6.096
-3.472 3.340 4.385
Cs F K O Zr
2 5 1 1 1
Direct
0.743 0.486 0.757
0.243 0.486 0.257
0.230 0.014 0.770
0.784 0.014 0.770
0.230 0.014 0.216
0.220 0.440 0.780
0.784 0.014 0.216
0.501 0.002 0.499
0.782 0.564 0.218
0.983 0.965 0.017
```

Its space group is I4mm (107). The formation energy (no corrections) comes out at -3.365 eV/atom. The value obtained for the total energy is -17.223 eV per atom.

=====

A plane-wave DFT calculation with SCAN was carried out for Cs2KPrF6 at its PBEsol-relaxed geometry.

```
Cs2KPrF6
1.0
-1.153 -5.970 3.014
3.661 -1.831 5.413
-2.887 -0.201 6.138
F Pr Cs K
6 1 2 1
Direct
=====
It’s one of the cycles that taxes the resources and time of shelters. It also leads to thousands of healthy but unadoptable kittens being euthanized every year, after miserable final days contained indoors in an environment they find terrifying.
Whitmore is hoping the old-time approach to “barn cats,” “farm cats,” “community cats” and feral cats will start to change now that Iowa City has a TNR (trap-neuter-return) ordinance. The new law makes it legal to not only feed cats that don’t have traditional indoor “homes,” but also to live-trap them humanely for the purposes of spaying and neutering.
Iowa City’s new law, passed last spring and put into action in October, is the latest in a swirl of TNR efforts that have been sweeping across Iowa in the past two years. It’s a change from the outdated attitude many have toward feral cats, which is to regard them as either pests, or as self-sufficient predators to be exploited for controlling barn and farmyard rodent populations.
TNR allows people to care for cats without homes in a way that also helps stem their population growth humanely, relieving a huge burden on shelter resources and making life better for the cats themselves, research shows.
It involves using humane drop or box traps to capture unaltered male and female cats, transporting them to an agency or shelter that provides spay/neuter surgeries, returning them to where they were captured for release, then providing them food, water and basic veterinary care for the rest of their lives.
This process leads, over several years, to fewer unowned cats. It also means fewer male cats fighting in the wild, and fewer unowned cats scrounging for food, living miserable lives, and dying miserable deaths.

Des Moines also enacted a new TNR program last year; coordinator Megan Weidmann says demand has already exceeded anticipation, with 600 surgeries performed since May 2019. The program had expected 500 surgeries.
“To have a TNR ordinance and enforce it makes a huge difference,” Weidmann says. “ ‘Catch and kill’ doesn’t do any good. And just catching doesn’t do any good. If these outside cats are brought into the shelter, their well-being is comprised, which in turns compromises healthy and friendly cats that can be adopted. There is so much energy and time spent on every cat. If we can get these community cats brought in for surgery, and returned, that opens up the availability for us to serve people in crisis.”
The challenge is educating and engaging the public in the process of TNR. Whitmore handled most of the estimated 15 TNR cases that Iowa City undertook before the cold set in; she hopes education programs will engage more of the public to participate in the humane trapping and return process.
“A lot of people are not really sure how it’s going to help them with their cat population issue,” she says. “We try to explain to them about the funnel effect, why this will actually help keep your population down. Why it’s really a win-win.”
TNR also helps shelters devote less resources, time and money to killing cats. Whitmore said Iowa City’s euthanasia rate has sat at 15 to 18 percent for the last three years; the new TNR program will ideally help lower that.
For a shelter to be considered “no-kill,” a standard 90 percent “live release” rate is the goal; this accounts for 10 percent of shelter animals deemed too ill for a quality of life, and for whom euthanasia is humane,” says Best Friends Animal Society.
Throughout Iowa, several communities are enacting new TNR programs:
- The Iowa Humane Alliance program through Cedar Rapids, which serves much of central and eastern Iowa, has completed 33,000 surgeries since 2013 and is aiming to expand.
- Marshalltown started a TNR program in May.
- Jefferson in Greene County enacted a successful TNR program, considered among the state’s leaders in TNR after a horrendous incident of mass cat-killing by bullets attracted national attention.
- Boone Area Humane Society and areas around Ames enacted a TNR program in 2017 and its shelter has a save rate of 95 to 98 percent.
- Winterset began a TNR program in 2017 and has virtually eliminated complaints about stray cats, says Alley Cat Allies.
- The Harrison County Humane Society runs a thriving TNR program.
Whitmore says she hopes Coralville will also pass a TNR ordinance soon.